Source:
____________
# 1
The following is a PBE calculation of a relaxed Er7Tl2Bi2 crystal, from Alexandria.

Properties
V ... 348.4 Å³/f.u.
Crystal system ... monoclinic
D(E_F) ... 0.911 states/eV per atom
Formation energy from the elements ... -0.131 eV per atom
DFT total energy ... -91.7 eV per cell

Unit cell a=11.0916 b=8.6217 c=7.4108 alpha=90.00 beta=100.49 gamma=90.00
With the nearest neighbours (Å) after each atom.
Space group C2/m (No. 12)
Asymmetric unit:
Er1 0.0000 0.0000 0.0000 x2  2 Bi 3.19, 4 Er 3.47
Er2 0.0180 0.5000 0.2821 x4  2 Bi 3.07-3.26, 2 Tl 3.23, 1 Er 3.33
Er3 0.2357 0.1963 0.2804 x8  2 Bi 3.09-3.11, 2 Tl 3.27-3.33, 2 Er 3.34-3.39
Tl1 0.0000 0.1782 0.5000 x4  1 Tl 3.07, 6 Er 3.23-3.33
Bi1 0.2202 0.5000 0.0497 x4  7 Er 3.07-3.26

# 2
The following is a PBE calculation of a relaxed GdAsAu crystal, from Alexandria.

Properties
V ... 68.5 Å³/f.u.
Crystal system ... tetragonal
D(E_F) ... 0.627 states/eV per atom
Formation energy from the elements ... -0.701 eV per atom
DFT total energy ... -48.2 eV per cell

Unit cell a=3.9407 b=3.9407 c=8.8186 alpha=90.00 beta=90.00 gamma=90.00
With the nearest neighbours (Å) after each atom.
Space group I4mm (No. 107)
Asymmetric unit:
Gd1 0.0000 0.0000 0.0000 x2  5 Au 2.93-3.15, 5 As 3.06-3.15
As1 0.0000 0.0000 0.3571 x2  1 Au 2.74, 4 Gd 3.06
Au1 0.0000 0.0000 0.6677 x2  1 As 2.74, 1 Gd 2.93

# 3
The following is a PBE calculation of a relaxed Li3GeP crystal, from Alexandria.

Properties
V ... 96.3 Å³/f.u.
Crystal system ... cubic
ΔE to the lowest computed polymorph ... 278 meV per atom
D(E_F) ... 0.496 states/eV per atom
Formation energy from the elements ... -0.039 eV per atom
DFT total energy ... -16.0 eV per cell

Unit cell a=4.5839 b=4.5839 c=4.5839 alpha=90.00 beta=90.00 gamma=90.00
With the nearest neighbours (Å) after each atom.
Space group Pm-3m (No. 221)
Asymmetric unit:
Li1 0.0000 0.0000 0.5000 x3  2 P 2.29
Ge1 0.5000 0.5000 0.5000 x1  12 Li 3.24
P1 0.0000 0.0000 0.0000 x1  6 Li 2.29

# 4
The following is a PBE calculation of a relaxed Ac2GaCuN crystal, from Alexandria.

Properties
V ... 120.5 Å³/f.u.
Crystal system ... monoclinic
Formation energy from raw total energies ... -585 meV/atom
D(E_F) ... 0.806 states/eV per atom
DFT total energy ... -53.2 eV per cell

Unit cell a=7.1640 b=3.9960 c=8.8160 alpha=90.00 beta=107.34 gamma=90.00
With the nearest neighbours (Å) after each atom.
Space group P2_1/m (No. 11)
Asymmetric unit:
Ac1 0.1996 0.2500 0.3862 x2  2 N 2.76
Ac2 0.2115 0.2500 0.9601 x2  3 N 2.53-2.79
Ga1 0.3335 0.7500 0.6972 x2  2 Cu 2.49
Cu1 0.4492 0.7500 0.2403 x2  1 N 2.01
N1 0.1553 0.7500 0.1624 x2  1 Cu 2.01

# 5
The following is a PBE calculation of a relaxed CsRbOs2 crystal, from Alexandria.

Properties
V ... 131.7 Å³/f.u.
Crystal system ... cubic
D(E_F) ... 1.822 states/eV per atom
Formation energy from the elements ... 2.756 eV per atom
DFT total energy ... -53.0 eV per cell

Unit cell a=8.0773 b=8.0773 c=8.0773 alpha=90.00 beta=90.00 gamma=90.00
With the nearest neighbours (Å) after each atom.
Space group Fm-3m (No. 225)
Asymmetric unit:
Cs1 0.0000 0.0000 0.0000 x4  8 Os 3.50
Rb1 0.0000 0.0000 0.5000 x4  8 Os 3.50
Os1 0.2500 0.2500 0.2500 x8  4 Rb 3.50, 4 Cs 3.50

# 6
The following is a PBE calculation of a relaxed TaRhPb3 crystal, from Alexandria.

Properties
V ... 140.2 Å³/f.u.
Crystal system ... cubic
ΔE to the lowest computed polymorph ... 0 meV per atom
D(E_F) ... 1.042 states/eV per atom
Formation energy from the elements ... 1.082 eV per atom
DFT total energy ... -24.9 eV per cell

Unit cell a=5.1948 b=5.1948 c=5.1948 alpha=90.00 beta=90.00 gamma=90.00
With the nearest neighbours (Å) after each atom.
Space group Pm-3m (No. 221)
Asymmetric unit:
Ta1 0.0000 0.0000 0.0000 x1  12 Pb 3.67
Rh1 0.5000 0.5000 0.5000 x1  6 Pb 2.60
Pb1 0.0000 0.5000 0.5000 x3  2 Rh 2.60

----------

A relaxed structure of YHoI2N, computed with PBE-GGA.

DFT total energy	-5.872	eV per atom

Geometry as CIF:
```
data_YHoI2N
_cell_length_a 3.7702
_cell_length_b 3.7702
____________

Assignment:
Now filter the contents further up: keep the lines with the word "Rh".

Solution:
Pb1 0.0000 0.5000 0.5000 x3  2 Rh 2.60